Rejection is probably the hardest part of dating. You put yourself out there, show you’re interested, even let someone get to know you—and then they turn you down. It’s tempting just to stay home.

Here’s the thing, though: you can’t stay home. Rejection is tough, but it’s tougher to be alone for the rest of your life. You have to risk rejection to find acceptance. So how do you move on?

The first thing you have to realize is romantic rejection isn’t personal. Well, sometimes it is, and in those cases you should move on to the next paragraph. In the vast majority of cases, your rejection says nothing bad about you. You may be rejected because you’re in the wrong place at the wrong time. Women say “it’s not a good time” as an excuse, but often it’s true. Or your timing for asking someone out was bad; or the location. (Funerals are bad occasions; generally speaking, so are carwashes.) You may also be rejected because you just don’t fit. I know, he’s hot, but face it, you work with horses and he hates animals. That’s his problem. Don’t make it yours.

Second, sometimes rejection is your fault. If you go up to a woman, as John Nash did in A Beautiful Mind, and say, “I want to have intercourse with you,” the odds of a favorable reception are not good. In those cases, use your rejection as an opportunity to improve your dating skills. How are you putting yourself across? What are you doing wrong? Don’t whine about your bad luck; be proactive and fix it.

Third, turn to your friends. People love you. True, you were looking for a different kind of love, but that’s no reason to turn your friends away. Your friends know you well. They can see you’re loveable and attractive.

Fourth, take care of yourself. Whether you’re dealing with the rejection of a stranger at a bar or your partner’s cheating, you’re not going to be helped by taking your feelings out on yourself. Sleep, eat well, and exercise. I know bodily care is an unromantic response to the tragedies of life, but it really will help. Especially the exercise. And maybe you can meet someone new at the gym.

Fifth, don’t let rejection interfere with your life. Continue to pursue your goals. Whether you’re single or not, you need to follow your own interests. A partner is no substitute for a self. Also, having a strong, independent life is one of the surest ways to attract a stable partner.

Misplaced data records
=====
(1)
Below is a relaxed DyTlSn2I8 crystal, with properties calculated at the PBE level.

Results
Space-group type: P-1, No. 2
Formation energy from raw total energies, meV/atom: -785.3
Raw total energy, eV/cell: -36.80

a b c (Å): 7.312 7.779 9.549
angles (deg): 89.98 89.96 88.91
Atoms (fractional coordinates):
Dy1 0.000 0.000 0.000
Tl1 0.000 0.000 0.500
Sn1 0.500 0.500 0.251
Sn2 0.500 0.500 0.749
I1 0.236 0.324 0.000
I2 0.248 0.844 0.223
I3 0.248 0.844 0.776
I4 0.270 0.362 0.500
I5 0.730 0.638 0.500
I6 0.752 0.156 0.224
I7 0.752 0.156 0.777
I8 0.764 0.676 0.000

(2)
Below is a relaxed SrDyI2 crystal, with properties calculated at the PBE level.

Results
Space-group type: R-3m, No. 166
Formation energy from raw total energies, meV/atom: -811.8
Raw total energy, eV/cell: -12.63

a b c (Å): 11.508 11.508 11.508
angles (deg): 20.35 20.35 20.35
Atoms (fractional coordinates):
Sr1 0.000 0.000 0.000
Dy1 0.500 0.500 0.500
I1 0.105 0.105 0.105
I2 0.895 0.895 0.895

(3)
Below is a relaxed SrDyI6 crystal, with properties calculated at the PBE level.

Results
Space-group type: P-1, No. 2
Formation energy from raw total energies, meV/atom: -1197.7
Raw total energy, eV/cell: -25.17

a b c (Å): 7.888 7.891 8.119
angles (deg): 61.45 61.42 60.06
Atoms (fractional coordinates):
Sr1 0.000 0.000 0.000
Dy1 0.500 0.500 0.500
I1 0.086 0.443 0.747
I2 0.274 0.916 0.256
I3 0.447 0.720 0.751
I4 0.553 0.280 0.249
I5 0.726 0.084 0.744
I6 0.914 0.557 0.253

(4)
Below is a relaxed SrDyTlI6 crystal, with properties calculated at the PBE level.

Results
Space-group type: P-31c, No. 163
Formation energy from raw total energies, meV/atom: -1333.0
Raw total energy, eV/cell: -59.90

a b c (Å): 8.197 8.197 15.000
angles (deg): 90.00 90.00 120.00
Atoms (fractional coordinates):
Sr1 0.333 0.667 0.250
Sr2 0.667 0.333 0.750
Dy1 0.333 0.667 0.750
Dy2 0.667 0.333 0.250
Tl1 0.000 0.000 0.000
Tl2 0.000 0.000 0.500
I1 0.023 0.374 0.631
I2 0.023 0.649 0.869
I3 0.351 0.374 0.869
I4 0.351 0.977 0.631
I5 0.374 0.023 0.131
I6 0.374 0.351 0.369
I7 0.626 0.649 0.631
I8 0.626 0.977 0.869
I9 0.649 0.023 0.369
I10 0.649 0.626 0.131
I11 0.977 0.351 0.131
I12 0.977 0.626 0.369

(5)
Below is a relaxed Tb2DyI crystal, with properties calculated at the PBE level.

Results
Space-group type: R-3m, No. 166
Formation energy from raw total energies, meV/atom: -347.8
Raw total energy, eV/cell: -16.80
Excess energy over the best structure of this formula in the dataset, eV/atom: 0.0000

a b c (Å): 10.721 10.721 10.721
angles (deg): 20.07 20.07 20.07
Atoms (fractional coordinates):
Tb1 0.246 0.246 0.246
Tb2 0.754 0.754 0.754
Dy1 0.000 0.000 0.000
I1 0.500 0.500 0.500

(6)
Below is a relaxed TbDyI6 crystal, with properties calculated at the PBE level.

Results
Space-group type: C2/m, No. 12
Formation energy from raw total energies, meV/atom: -1353.5
Raw total energy, eV/cell: -29.36
Excess energy over the best structure of this formula in the dataset, eV/atom: 0.0000

a b c (Å): 8.105 8.105 7.472
=====

And finally, eat chocolate. Be happy! You’re not going to move on by moping. Eat gummy bears if you have some freakish aversion to chocolate.

Everyone has been rejected in love. (Let’s hope so, anyway. If we have to go through it, everyone should.) Rejection is just part of the romance game. Move on. Attraction and acceptance are part of the romance game, too.

Data records from another source follow >
~~~
# PBE ZrCo, optimized geometry
data_ZrCo
_chemical_formula_sum 'Zr8 Co8'
_space_group_name_H-M_alt 'I 4/m m m'
_space_group_IT_number 139
_space_group_name_Hall '-I 4 2'
_cell_length_a 7.936
_cell_length_b 7.936
_cell_length_c 4.236
_cell_angle_alpha 90.00
_cell_angle_beta 90.00
_cell_angle_gamma 90.00
loop_
_atom_site_label
_atom_site_type_symbol
_atom_site_fract_x
_atom_site_fract_y
_atom_site_fract_z
Zr1 Zr 0.000 0.290 0.000
Co1 Co 0.161 0.161 0.500
# Total moment = 0.00 μB per cell
# ΔE_f = -0.097 eV/atom

=====

# PBE ZrCo5, optimized geometry
data_ZrCo5
_chemical_formula_sum 'Zr1 Co5'
_space_group_name_H-M_alt 'P 6/m m m'
_space_group_IT_number 191
_space_group_name_Hall '-P 6 2'
_cell_length_a 4.7645
_cell_length_b 4.7645
_cell_length_c 3.9585
_cell_angle_alpha 90.00
_cell_angle_beta 90.00
_cell_angle_gamma 120.00
loop_
_atom_site_label
_atom_site_type_symbol
_atom_site_fract_x
_atom_site_fract_y
_atom_site_fract_z
Zr1 Zr 0.0000 0.0000 0.0000
Co1 Co 0.0000 0.5000 0.5000
Co2 Co 0.3333 0.6667 0.0000
# Total moment = 6.31 μB per cell
# ΔE_f = -0.117 eV/atom

=====

# PBE Zr3Co, optimized geometry
data_Zr3Co
_chemical_formula_sum 'Zr9 Co3'
_space_group_name_H-M_alt 'R -3 m'
_space_group_IT_number 166
_space_group_name_Hall '-R 3 2"'
_cell_length_a 3.2575
_cell_length_b 3.2575
_cell_length_c 26.5533
_cell_angle_alpha 90.00
_cell_angle_beta 90.00
_cell_angle_gamma 120.00
loop_
_atom_site_label
_atom_site_type_symbol
_atom_site_fract_x
_atom_site_fract_y
_atom_site_fract_z
Zr1 Zr 0.0000 0.0000 0.0000
Zr2 Zr 0.0000 0.0000 0.2344
Co1 Co 0.0000 0.0000 0.5000
# Total moment = 0.00 μB per cell
# ΔE_f = 0.036 eV/atom

=====

# PBE Zr3Co, optimized geometry
data_Zr3Co
_chemical_formula_sum 'Zr24 Co8'
_space_group_name_H-M_alt 'I -4 2 m'
_space_group_IT_number 121
_space_group_name_Hall 'I -4 2'
_cell_length_a 10.528
_cell_length_b 10.528
_cell_length_c 5.664
_cell_angle_alpha 90.00
_cell_angle_beta 90.00
_cell_angle_gamma 90.00
loop_
_atom_site_label
_atom_site_type_symbol
_atom_site_fract_x
_atom_site_fract_y
_atom_site_fract_z
Zr1 Zr 0.000 0.358 0.000
Zr2 Zr 0.097 0.097 0.246
Zr3 Zr 0.202 0.202 0.740
Co1 Co 0.000 0.295 0.500
# Total moment = 0.00 μB per cell
# ΔE_f = -0.171 eV/atom

=====

# PBE ZrCo, optimized geometry
data_ZrCo
_chemical_formula_sum 'Zr8 Co8'
_space_group_name_H-M_alt 'P 21 21 21'
_space_group_IT_number 19
_space_group_name_Hall 'P 2ac 2ab'
_cell_length_a 5.017
_cell_length_b 5.133
_cell_length_c 10.127
_cell_angle_alpha 90.00
_cell_angle_beta 90.00
_cell_angle_gamma 90.00
loop_
_atom_site_label
_atom_site_type_symbol
_atom_site_fract_x
_atom_site_fract_y
_atom_site_fract_z
Zr1 Zr 0.142 0.073 0.016
Zr2 Zr 0.155 0.621 0.802
Co1 Co 0.147 0.880 0.269
Co2 Co 0.156 0.584 0.066
# Total moment = 0.00 μB per cell
# ΔE_f = -0.286 eV/atom

=====

# PBE Zr3Co, optimized geometry
data_Zr3Co
_chemical_formula_sum 'Zr9 Co3'
_space_group_name_H-M_alt 'R -3 m'
_space_group_IT_number 166
_space_group_name_Hall '-R 3 2"'
_cell_length_a 9.2268
~~~

Copyright © 2008 Katherin Scott. All rights reserved worldwide. No part of this article may be copied or distributed in any form without the author’s information intact.

Author's Bio: 

Data records, kept here for reference =
<<<
Record 1
Compound: ScRhAu
Source: the Alexandria database
Functional: GGA-PBE
Structure: optimized geometry

Computed properties:
* energy of formation: -157 kJ/mol of formula units

Cell: 9.456 3.109 8.460 Å, 90.00 115.41 90.00°
Space group C2/m (No. 12)
Inequivalent atoms, fractional coordinates:
Sc1 0.036 0.000 0.221
Rh1 0.154 0.500 0.029
Au1 0.169 0.000 0.597

---

Record 2
Compound: RhPbBr
Source: the Alexandria database
Functional: GGA-PBE
Structure: optimized geometry

Computed properties:
* ΔE_f (raw): 0.108 eV per atom

Cell: 4.5860 4.5860 3.6130 Å, 90.00 90.00 120.00°
Space group P3m1 (No. 156)
Inequivalent atoms, fractional coordinates:
Rh1 0.0000 0.0000 0.0000
Pb1 0.3333 0.6667 0.4905
Br1 0.6667 0.3333 0.9929

---

Record 3
Compound: RbCrH2
Source: the Alexandria database
Functional: GGA-PBE
Structure: optimized geometry

Computed properties:
* calculated total energy: -4.2021 eV/atom

Cell: 3.771 3.771 10.772 Å, 89.70 89.20 83.11°
Space group P1 (No. 1)
Inequivalent atoms, fractional coordinates:
Rb1 0.000 0.000 0.000
Rb2 0.476 0.495 0.599
Cr1 0.320 0.329 0.288
Cr2 0.656 0.665 0.288
H1 0.484 0.996 0.397
H2 0.493 0.998 0.181
H3 0.983 0.496 0.398
H4 0.992 0.498 0.181

---

Record 4
Compound: Tb3ScGa3
Source: the Alexandria database
Functional: GGA-PBE
Structure: optimized geometry

Computed properties:
* energy of formation: -235 kJ/mol of formula units

Cell: 8.9567 8.9567 4.8486 Å, 90.00 90.00 120.00°
Space group P6_3/m (No. 176)
Inequivalent atoms, fractional coordinates:
Tb1 0.0072 0.2515 0.2500
Sc1 0.3333 0.6667 0.7500
Ga1 0.0564 0.6076 0.2500

---

Record 5
Compound: PuInGaGe
Source: the Alexandria database
Functional: GGA-PBE
Structure: optimized geometry

Computed properties:
* energy of formation: -125 kJ/mol of formula units

Cell: 4.173 4.420 4.636 Å, 90.00 90.00 90.00°
Space group Pmmm (No. 47)
Inequivalent atoms, fractional coordinates:
Pu1 0.000 0.000 0.000
In1 0.000 0.500 0.500
Ga1 0.500 0.000 0.500
Ge1 0.500 0.500 0.000

---

Record 6
Compound: TmAlCuAg
Source: the Alexandria database
Functional: GGA-PBE
Structure: optimized geometry

Computed properties:
* energy of formation: -125 kJ/mol of formula units

Cell: 6.607 6.607 6.607 Å, 90.00 90.00 90.00°
Space group F-43m (No. 216)
Inequivalent atoms, fractional coordinates:
Tm1 0.000 0.000 0.000
Al1 0.000 0.000 0.500
Cu1 0.250 0.250 0.250
Ag1 0.250 0.250 0.750

---

Record 7
Compound: Ce2MgPt3
Source: the Alexandria database
Functional: GGA-PBE
Structure: optimized geometry

Computed properties:
* energy of formation: -490 kJ/mol of formula units

Cell: 7.161 9.740 14.939 Å, 90.00 90.00 90.00°
Space group Fmmm (No. 69)
Inequivalent atoms, fractional coordinates:
Ce1 0.250 0.000 0.000
Ce2 0.250 0.250 0.250
Mg1 0.000 0.000 0.175
Pt1 0.000 0.000 0.346
Pt2 0.000 0.231 0.093

---

Record 8
Compound: RbPmCuCl6
Source: the Alexandria database
Functional: GGA-PBE
Structure: optimized geometry

Computed properties:
* ΔE_f (raw): -1.610 eV per atom
>>>

Katherin Scott, The Dating Coach, author and speaker. Coach Katherin has devoted her life to the pursuit of love and romance - not just for herself, but for the millions of single people who want love in their lives. Katherin coaches singles worldwide and teaches seminars and workshops to help people empower themselves to find love and happiness. To access free downloads, articles, assessments and Katherin’s ezine, visit